== Wanted ==
Could you give back the whole of the data below exactly?

== Contents ==
+++
[1]
Li5CoO3F | PBE+U | relaxed

a = 6.543 Å, b = 6.543 Å, c = 4.755 Å
α = 80.24°, β = 80.24°, γ = 88.90°
Fractional coordinates of all 20 atoms:
Li (0.659, 0.084, 0.884)
Co (0.372, 0.372, 0.876)
Li (0.431, 0.830, 0.626)
Li (0.140, 0.140, 0.618)
O (0.363, 0.637, 0.000)
O (0.601, 0.893, 0.246)
Li (0.341, 0.916, 0.116)
F (0.148, 0.852, 0.500)
O (0.399, 0.107, 0.754)
Li (0.170, 0.569, 0.374)
Li (0.569, 0.170, 0.374)
Li (0.830, 0.431, 0.626)
O (0.893, 0.601, 0.246)
F (0.852, 0.148, 0.500)
Li (0.916, 0.341, 0.116)
Co (0.628, 0.628, 0.124)
Li (0.860, 0.860, 0.382)
Li (0.084, 0.659, 0.884)
O (0.637, 0.363, 0.000)
O (0.107, 0.399, 0.754)

Summary:
The energy of formation from the pure elements is -2004 meV/atom. The uncorrected energy comes out at -4.930 eV per atom.

=====

[2]
VZnPO5 | PBE+U | relaxed

a = 5.471 Å, b = 5.471 Å, c = 7.209 Å
α = 72.47°, β = 72.47°, γ = 97.17°
Fractional coordinates of all 16 atoms:
O (0.410, 0.590, 0.250)
O (0.700, 0.208, 0.097)
Zn (0.819, 0.181, 0.750)
O (0.208, 0.700, 0.597)
O (0.590, 0.410, 0.750)
V (0.500, 0.500, 0.000)
P (0.150, 0.850, 0.750)
O (0.843, 0.797, 0.868)
O (0.203, 0.157, 0.632)
O (0.797, 0.843, 0.368)
P (0.850, 0.150, 0.250)
O (0.300, 0.792, 0.903)
V (0.500, 0.500, 0.500)
Zn (0.181, 0.819, 0.250)
O (0.157, 0.203, 0.132)
O (0.792, 0.300, 0.403)

Summary:
For the energy above the most stable polymorph in this dataset, the calculation gives 6 meV/atom. The energy of formation from the pure elements is -2468 meV/atom. The uncorrected energy comes out at -6.888 eV per atom.

=====

[3]
SrCaMnGaO5 | PBE+U | relaxed

a = 5.456 Å, b = 5.673 Å, c = 8.667 Å
α = 71.30°, β = 71.63°, γ = 89.98°
Fractional coordinates of all 18 atoms:
Sr (0.883, 0.407, 0.229)
O (0.753, 0.763, 0.981)
Ga (0.213, 0.180, 0.501)
Ca (0.594, 0.133, 0.787)
O (0.662, 0.570, 0.708)
Ga (0.713, 0.821, 0.499)
O (0.193, 0.192, 0.714)
O (0.371, 0.430, 0.292)
Mn (0.002, 0.000, 0.000)
Mn (0.503, 0.500, 0.000)
O (0.377, 0.889, 0.480)
O (0.262, 0.764, 0.980)
O (0.740, 0.230, 0.019)
O (0.907, 0.808, 0.286)
Ca (0.381, 0.867, 0.213)
O (0.857, 0.111, 0.521)
O (0.248, 0.244, 0.021)
Sr (0.112, 0.592, 0.771)

Summary:
The energy of formation from the pure elements is -2698 meV/atom. The uncorrected energy comes out at -6.644 eV per atom.

=====

[4]
Na2NiS2O14 | PBE+U | relaxed

a = 5.645 Å, b = 8.229 Å, c = 11.395 Å
α = 90.00°, β = 90.00°, γ = 103.92°
Fractional coordinates of all 38 atoms:
O (0.946, 0.612, 0.763)
S (0.228, 0.910, 0.363)
O (0.769, 0.934, 0.574)
Na (0.845, 0.138, 0.340)
O (0.054, 0.888, 0.263)
O (0.476, 0.405, 0.179)
Na (0.155, 0.862, 0.660)
O (0.317, 0.371, 0.612)
O (0.142, 0.770, 0.451)
S (0.228, 0.410, 0.137)
O (0.201, 0.501, 0.438)
S (0.772, 0.090, 0.637)
O (0.476, 0.905, 0.321)
O (0.769, 0.434, 0.926)
Na (0.845, 0.638, 0.160)
O (0.231, 0.566, 0.074)
O (0.407, 0.132, 0.891)
O (0.858, 0.230, 0.549)
O (0.593, 0.368, 0.391)
Ni (0.500, 0.000, 0.000)
O (0.593, 0.868, 0.109)
O (0.317, 0.871, 0.888)
O (0.799, 0.499, 0.562)
S (0.772, 0.590, 0.863)
Ni (0.500, 0.500, 0.500)
O (0.799, 0.999, 0.938)
O (0.231, 0.066, 0.426)
O (0.201, 0.001, 0.062)
O (0.054, 0.388, 0.237)
O (0.407, 0.632, 0.609)
O (0.142, 0.270, 0.049)
Na (0.155, 0.362, 0.840)
O (0.683, 0.129, 0.112)
O (0.524, 0.095, 0.679)
O (0.683, 0.629, 0.388)
O (0.524, 0.595, 0.821)
O (0.946, 0.112, 0.737)
O (0.858, 0.730, 0.951)

Summary:
The energy of formation from the pure elements is -860 meV/atom. The uncorrected energy comes out at -4.744 eV per atom.
+++

== Here it is ==
[1]
Li5CoO3F | PBE+U | relaxed

a = 6.543 Å, b = 6.543 Å, c = 4.755 Å
α = 80.24°, β = 80.24°, γ = 88.90°
Fractional coordinates of all 20 atoms:
Li (0.659, 0.084, 0.884)
Co (0.372, 0.372, 0.876)
Li (0.431, 0.830, 0.626)
Li (0.140, 0.140, 0.618)
O (0.363, 0.637, 0.000)
O (0.601, 0.893, 0.246)
Li (0.341, 0.916, 0.116)
F (0.148, 0.852, 0.500)
O (0.399, 0.107, 0.754)
Li (0.170, 0.569, 0.374)
Li (0.569, 0.170, 0.374)
Li (0.830, 0.431, 0.626)
O (0.893, 0.601, 0.246)
F (0.852, 0.148, 0.500)
Li (0.916, 0.341, 0.116)
Co (0.628, 0.628, 0.124)
Li (0.860, 0.860, 0.382)
Li (0.084, 0.659, 0.884)
O (0.637, 0.363, 0.000)
O (0.107, 0.399, 0.754)

Summary:
The energy of formation from the pure elements is -2004 meV/atom. The uncorrected energy comes out at -4.930 eV per atom.

=====

[2]
VZnPO5 | PBE+U | relaxed

a = 5.471 Å, b = 5.471 Å, c = 7.209 Å
α = 72.47°, β = 72.47°, γ = 97.17°
Fractional coordinates of all 16 atoms:
O (0.410, 0.590, 0.250)
O (0.700, 0.208, 0.097)
Zn (0.819, 0.181, 0.750)
O (0.208, 0.700, 0.597)
O (0.590, 0.410, 0.750)
V (0.500, 0.500, 0.000)
P (0.150, 0.850, 0.750)
O (0.843, 0.797, 0.868)
O (0.203, 0.157, 0.632)
O (0.797, 0.843, 0.368)
P (0.850, 0.150, 0.250)
O (0.300, 0.792, 0.903)
V (0.500, 0.500, 0.500)
Zn (0.181, 0.819, 0.250)
O (0.157, 0.203, 0.132)
O (0.792, 0.300, 0.403)

Summary:
For the energy above the most stable polymorph in this dataset, the calculation gives 6 meV/atom. The energy of formation from the pure elements is -2468 meV/atom. The uncorrected energy comes out at -6.888 eV per atom.

=====

[3]
SrCaMnGaO5 | PBE+U | relaxed

a = 5.456 Å, b = 5.673 Å, c = 8.667 Å
α = 71.30°, β = 71.63°, γ = 89.98°
Fractional coordinates of all 18 atoms:
Sr (0.883, 0.407, 0.229)
O (0.753, 0.763, 0.981)
Ga (0.213, 0.180, 0.501)
Ca (0.594, 0.133, 0.787)
O (0.662, 0.570, 0.708)
Ga (0.713, 0.821, 0.499)
O (0.193, 0.192, 0.714)
O (0.371, 0.430, 0.292)
Mn (0.002, 0.000, 0.000)
Mn (0.503, 0.500, 0.000)
O (0.377, 0.889, 0.480)
O (0.262, 0.764, 0.980)
O (0.740, 0.230, 0.019)
O (0.907, 0.808, 0.286)
Ca (0.381, 0.867, 0.213)
O (0.857, 0.111, 0.521)
O (0.248, 0.244, 0.021)
Sr (0.112, 0.592, 0.771)

Summary:
The energy of formation from the pure elements is -2698 meV/atom. The uncorrected energy comes out at -6.644 eV per atom.

=====

[4]
Na2NiS2O14 | PBE+U | relaxed

a = 5.645 Å, b = 8.229 Å, c = 11.395 Å
α = 90.00°, β = 90.00°, γ = 103.92°
Fractional coordinates of all 38 atoms:
O (0.946, 0.612, 0.763)
S (0.228, 0.910, 0.363)
O (0.769, 0.934, 0.574)
Na (0.845, 0.138, 0.340)
O (0.054, 0.888, 0.263)
O (0.476, 0.405, 0.179)
Na (0.155, 0.862, 0.660)
O (0.317, 0.371, 0.612)
O (0.142, 0.770, 0.451)
S (0.228, 0.410, 0.137)
O (0.201, 0.501, 0.438)
S (0.772, 0.090, 0.637)
O (0.476, 0.905, 0.321)
O (0.769, 0.434, 0.926)
Na (0.845, 0.638, 0.160)
O (0.231, 0.566, 0.074)
O (0.407, 0.132, 0.891)
O (0.858, 0.230, 0.549)
O (0.593, 0.368, 0.391)
Ni (0.500, 0.000, 0.000)
O (0.593, 0.868, 0.109)
O (0.317, 0.871, 0.888)
O (0.799, 0.499, 0.562)
S (0.772, 0.590, 0.863)
Ni (0.500, 0.500, 0.500)
O (0.799, 0.999, 0.938)
O (0.231, 0.066, 0.426)
O (0.201, 0.001, 0.062)
O (0.054, 0.388, 0.237)
O (0.407, 0.632, 0.609)
O (0.142, 0.270, 0.049)
Na (0.155, 0.362, 0.840)
O (0.683, 0.129, 0.112)
O (0.524, 0.095, 0.679)
O (0.683, 0.629, 0.388)
O (0.524, 0.595, 0.821)
O (0.946, 0.112, 0.737)
O (0.858, 0.730, 0.951)

Summary:
The energy of formation from the pure elements is -860 meV/atom. The uncorrected energy comes out at -4.744 eV per atom.